Thursday, February 24, 2011

Literary Magazine Contacts Me

Imagine my surprise to get an actual personalized email from a very fine literary magazine, which has, I want you to know, rejected me once a long time ago.  Did the editor ask to see my finest craft or assign me a nice edgy column to write and/or cheeky story? No. He wanted me to publicize the following:
Hello: I'm writing with BOMB Magazine to tell you about our Fiction Contest, judged by Rivka Galchen. I'm thinking Literary Rejections on Display readers might be into it—the winner receives 500$ and their story gets published in our upcoming literary supplement. I'm hoping you make a blog post or tweet about it, so that we have a chance of getting some stories from your readers. The deadline is April 16, and full guidelines are here. Also, there's a Facebook Page. Best, Sam
So have at it, mice. Make all the LROD kingdom proud.


  1. 20 dollar entry fee for a 500 dollar prize seems a bit rich. GT has 15 dollar fee for 1200 dollar prize.

    Come on.

  2. I must be really cynical, but I don't see much cause to get excited over a journal wanting to use LROD as a way to advertise for more contest entries. Also, a $20 entry fee for a $500 prize sounds too high. Usually I'll pay a maximum of $20 for a $1,000 prize. $10 for a $500 prize is often considered more reasonable -- but of course, everyone must make their own decisions about which contests they wish to enter. And it does include a subscription to the journal, which is always nice.

    I have nothing against this particular journal and I wish any LROD reader who enters the best of luck. Just wanted to add this info for anyone who might find it useful.

  3. Who's excited? I was only excited when I thought he wanted some fiction from me. I'm cool with advertising contests, as long as there's a good debate resulting--you yourself have brought up a good point there.

  4. So do you mention that you run LROD in your cover letters? How's that been working out for you?

  5. I haven't felt excited is a long time lol

  6. that's DOCTOR pepper to you!March 1, 2011 at 7:25 PM

    I don't follow the blog closely enough to know how this will be received by the commentariat, but here goes anyway.

    Yes, the $20 fee for a $500 prize is exorbitant, and BOMB knows this full well. Why do they have such a high fee then? Because their underlying assumption is that most submitters are either students in creative writing programs or creative writing faculty. And in academia, students are professors are reimbursed for entry fees as a matter of course.

    It doesn't matter what department you are in, I have a PhD in biochem, my partner has a masters in Psych. We were reimbursed for every conference we ever attended as grad students. There's no doubt in my mind that MFA students and writing faculty are similarly reimbursed. All graduate departments work this way.

    And conferences and journals know that academics are reimbursed, so they purposely jack up the fees. They figure no harm since it's an institution losing money, not an actual person. God, I remember one conference that had a $150 registration fee, it was in a total shithole facility. I got back every penny of that fee too. (Well, after 3 months.)

    I think it's a pity that lit mags work this way, because in principal they are supposed to be open to people outside of academic creative writing programs. I'm not associated with any MFA program, no one's going to cover my fees!

    Is it done on purpose to drive away those on the outside? Or are some lit mags just that naive, not realizing that contest fees add up big time for those who must pay on their own?

Someone pasted molecular data at this point.
********
This record from OMol25 describes 2 unconnected molecules or ions with the total composition CH2N2O3Si. The level of theory is wB97M-V/def2-TZVPD.

Each line ends with the Löwdin charge.
CARTESIAN COORDINATES (ANGSTROEM)
N: -4.2841 0.1854 0.0956  0.07
C: -3.1199 0.3107 0.0547  -0.30
Si: -1.1997 0.3460 0.1536  0.61
O: -0.4727 -0.9648 0.1163  -0.37
H: -0.8983 1.8312 -0.2285  0.00
O: 3.0706 1.0094 0.2059  0.00
N: 2.2567 0.1763 -0.1769  -0.12
O: 2.6299 -1.1052 0.1329  -0.04
H: 2.0175 -1.7891 -0.3537  0.15

Summary:
charge: 0
energy relative to the best compared isomer or geometry (same formula, charge and spin): 60.4 kcal/mol
LUMO energy: -1.79 eV
highest occupied orbital energy: -10.602 eV
E: -663.90233 Eh
SMILES: N#C[SiH]=O.O=NO

***

This record from OMol25 describes C24H34FN5O5S in the gas phase. The level of theory is wB97M-V/def2-TZVPD.

Each line ends with the Löwdin charge.
CARTESIAN COORDINATES (ANGSTROEM)
C: -3.6186 -3.5076 0.7318  -0.10
C: -2.4863 -3.7329 1.7290  -0.25
C: -1.1524 -4.0792 1.0570  -0.17
C: -0.2714 -2.8699 0.7302  -0.13
N: -0.9265 -1.9332 -0.1684  0.05
C: -1.5355 -0.7882 0.2614  -0.26
N: -1.5486 -0.5206 1.6067  0.20
C: -2.1686 0.0502 -0.6302  -0.12
N: -2.7861 1.2565 -0.1901  0.01
C: -4.2384 1.2914 -0.2790  -0.11
C: -4.9018 0.4871 0.8462  -0.40
C: -4.8278 1.2507 2.1662  -0.06
C: -6.3536 0.1870 0.4843  -0.07
C: -2.0994 2.3946 0.0891  -0.41
O: -2.6472 3.4283 0.4182  0.08
C: -0.5865 2.2720 -0.0109  -0.24
C: 0.1280 2.9640 1.1499  -0.11
C: 1.6462 2.9232 0.8843  -0.17
N: 1.9813 2.0273 -0.2063  -0.24
S: 1.9002 0.3949 0.1581  0.71
O: 1.3095 -0.3335 -0.9291  -0.26
O: 1.3443 0.1715 1.4716  -0.28
C: 3.6448 0.0072 0.2209  -0.26
C: 4.2857 -0.3631 -0.9467  -0.04
C: 5.6466 -0.6122 -0.9300  0.01
C: 6.3284 -0.4766 0.2688  -0.27
F: 7.6507 -0.7117 0.2929  0.07
C: 5.6947 -0.1114 1.4456  0.01
C: 4.3328 0.1329 1.4133  -0.05
C: 1.4020 2.4309 -1.4761  -0.17
C: -0.0709 2.8589 -1.3269  -0.08
C: -2.1275 -0.2062 -2.0441  -0.41
O: -2.5784 0.5052 -2.9210  0.08
N: -1.4777 -1.3948 -2.3632  0.23
C: -0.8347 -2.2524 -1.5155  -0.49
O: -0.2594 -3.2393 -1.9091  0.09
H: -3.7728 -4.3993 0.1280  0.08
H: -4.5452 -3.2889 1.2585  0.07
H: -3.4042 -2.6789 0.0629  0.05
H: -2.7722 -4.5587 2.3842  0.10
H: -2.3645 -2.8447 2.3509  0.09
H: -1.3392 -4.6311 0.1349  0.11
H: -0.5667 -4.7230 1.7156  0.11
H: 0.0335 -2.3574 1.6405  0.11
H: 0.6256 -3.2178 0.2107  0.13
H: -0.6589 -0.6251 2.0770  0.09
H: -1.9932 0.3642 1.8146  0.10
H: -4.5261 0.8922 -1.2551  0.13
H: -4.5378 2.3395 -0.2208  0.13
H: -4.3656 -0.4627 0.9522  0.11
H: -3.8118 1.5785 2.3740  0.06
H: -5.4567 2.1367 2.1201  0.09
H: -5.1660 0.6279 2.9913  0.08
H: -6.4087 -0.4098 -0.4231  0.08
H: -6.9013 1.1123 0.3216  0.08
H: -6.8384 -0.3629 1.2876  0.08
H: -0.3154 1.2181 -0.0052  0.08
H: -0.1022 2.4462 2.0820  0.11
H: -0.2288 3.9912 1.2305  0.12
H: 2.1867 2.5736 1.7635  0.11
H: 2.0271 3.9102 0.6113  0.13
H: 3.7061 -0.4685 -1.8493  0.12
H: 6.1790 -0.9077 -1.8198  0.12
H: 6.2640 -0.0258 2.3573  0.12
H: 3.7925 0.4042 2.3058  0.11
********

    Anyway WR, thanks for letting me have a say!

  7. To answer/rebut Doctor Pepper (great username, by the way!):

    I don't think literary magazines and journals are discriminating between MFAers and non-MFAers, really, with the fees. Sure, there's a certain amount of "who you know" that helps when you have contacts in the biz, but the money involved isn't a bid to shut outsiders out, because unless I am just hopelessly out of the loop, MFA programs don't generally reimburse their students for submission fees -- faculty, probably, but students, no.

    In my experience, there's a big difference between conferences and contest entry fees, and MFA programs don't reimburse lowly grad students for entry fees or submission fees when they send out work -- it's considered to be solely your initiative and responsibility. If you win or get published, good for you (and the school), but you're on your own, like any other prospective writer, when it comes to the money aspect. Hell, I was lucky to get help on my registration fee when I went to the 2003 AWP conference in New Orleans -- and even then, I think they only paid half.

-- Inserted here: records of molecules --
********
Entry 1:
{
  "formula": "C4H5N3",
  "method": "the ωB97M-V functional and the def2-TZVPD basis",
  "species": ["C", "N", "N", "C", "C", "N", "C", "H", "H", "H", "H", "H"],
  "xyz": [[1.08, 1.13, 0.01], [1.82, -0.11, 0.03], [1.05, -1.19, -0.06], [-0.16, -0.70, -0.03], [-0.21, 0.68, 0.00], [-1.63, 0.83, 0.06], [-1.78, -0.70, 0.06], [1.42, 2.20, 0.15], [2.78, -0.27, -0.08], [-2.03, 1.11, -0.92], [-2.29, -1.25, -0.79], [-2.16, -0.92, 1.13]],
  "e_lumo_ev": 1.1,
  "e_tot_ev": -8695.716,
  "e_homo_ev": -8.70,
  "de_lowest_ev": 4.097,
  "largest_force_ev_per_a": 3.602,
  "gap_ev": 9.774,
  "multiplicity": 1
}

***

Entry 2:
{
  "formula": "C5H10NO",
  "method": "the ωB97M-V functional and the def2-TZVPD basis",
  "species": ["C", "C", "C", "C", "C", "N", "O", "H", "H", "H", "H", "H", "H", "H", "H", "H", "H"],
  "xyz": [[-1.38, -0.40, 0.10], [-2.31, -1.08, 0.71], [-1.06, 0.50, -1.03], [-0.04, 0.16, 0.00], [1.67, -0.98, -0.73], [0.47, 1.37, 0.82], [2.67, -0.18, -0.16], [-2.20, -1.73, 1.53], [-3.40, -1.15, 0.45], [-1.06, 0.12, -2.08], [-1.63, 1.42, -0.94], [1.62, -0.71, -1.89], [1.64, -2.00, -0.36], [0.54, 1.44, 1.83], [0.03, 2.22, 0.45], [1.46, 1.47, 0.55], [2.98, -0.48, 0.75]],
  "e_lumo_ev": -3.6,
  "e_tot_ev": -8873.194,
  "charge": 1,
  "e_homo_ev": -12.95,
  "de_lowest_ev": 5.386,
  "largest_force_ev_per_a": 4.142,
  "gap_ev": 9.367,
  "multiplicity": 1
}

***

Entry 3:
{
  "formula": "C2H3N3O2",
  "method": "the ωB97M-V functional and the def2-TZVPD basis",
  "species": ["C", "C", "H", "H", "H", "N", "N", "N", "O", "O"],
  "xyz": [[-0.22, -1.35, 0.17], [-0.38, 0.02, -0.44], [0.48, 1.99, 1.04], [-0.95, -2.23, 0.23], [-2.07, 0.04, -0.78], [0.94, 0.59, -0.48], [0.93, -1.36, 0.61], [-1.35, 0.70, -0.78], [0.96, 1.89, -0.09], [1.65, -0.30, 0.51]],
  "e_lumo_ev": 0.0,
  "e_tot_ev": -10681.307,
  "e_homo_ev": -9.99,
  "de_lowest_ev": 7.150,
  "largest_force_ev_per_a": 5.222,
  "gap_ev": 10.019,
  "multiplicity": 1
}


1.
ORCA calculation (wB97M-V/def2-TZVPD) on a 2-piece molecular cluster, C3H8O2S overall in a non-equilibrium geometry.

Structure (XYZ):
```
14
Properties=species:S:1:pos:R:3:lowdin_charge:R:1
C -2.108 -0.457 0.431 -0.205
C 2.200 -1.001 0.655 -0.186
C -0.707 1.201 -1.333 -0.221
O -0.325 1.345 1.254 -0.407
O 1.267 -0.877 -0.396 -0.293
S -0.626 0.382 0.255 0.792
H -2.514 -0.477 1.531 0.069
H -2.049 -1.399 -0.104 0.013
H 1.710 -1.447 1.456 0.056
H 2.423 -0.013 0.906 0.053
H 2.996 -1.466 0.165 0.074
H -1.641 0.720 -1.873 0.097
H -0.972 2.323 -1.206 0.094
H 0.344 1.166 -1.741 0.064
```

Strongest force on any atom, eV/Å: 3.29
Energy above the lowest of the compared OMol25 structures with the same formula, charge and spin, kcal/mol: 143.35
2S+1: 1
DFT total energy, Eh: -667.5525
Orbital gap (alpha / beta), eV: 8.08 / 7.82

---

2.
ORCA calculation (wB97M-V/def2-TZVPD) on a 3-piece molecular cluster, C3H8O2S overall in a non-equilibrium geometry.

Structure (XYZ):
```
14
Properties=species:S:1:pos:R:3:lowdin_charge:R:1
O 2.153 -0.305 -2.282 0.040
********

    The "fees" business for prizes has always been a part of creative-writing submissions, and the prices tend to reflect the constant lack of funding for these magazines and journals -- most of them don't pay upon publication (or pay their employees), so any time they do have to give an author some cash, they have to subsidize it. What they do with the millions of overflow dollars that come in through the submission process, who knows? Buy cocaine and high-priced hookers, probably. Or buy copies of their own journal to make it look like subscriptions are up.

    (If you want some real controversy, there's what in the humanities universe counts as major upheaval in the new trend in charging for submitting online, which was apparently a "thing" at the AWP conference this year. It's usually $3, and it's to offset costs -- just like any submission fee generally is in the low-income world of literary publishing.)

    Now, granted, I got my MFA in 2003, so things may have changed; anyone else out there want to weigh in? Do most MFA programs now reimburse their students for fees like this? If so, I'd be interested to know!
